### Material
Record 1
NbV5Cr6 after structural relaxation, computed with PBE.

Cell and atoms, written as POSCAR:
```
NbV5Cr6
1.0
4.0078 0.0171 -1.1697
-0.8107 5.1908 -2.7030
-0.0724 0.3801 7.2090
V Cr Nb
5 6 1
Direct
0.6670 0.6670 0.3340 V
0.6701 0.1701 0.3403 V
0.0000 0.5000 0.0000 V
0.3299 0.8299 0.6597 V
0.3330 0.3330 0.6660 V
0.1701 0.4239 0.3401 Cr
0.8299 0.5761 0.6599 Cr
0.5000 0.2578 0.0000 Cr
0.1700 0.9162 0.3401 Cr
0.8300 0.0838 0.6599 Cr
0.5000 0.7422 0.0000 Cr
0.0000 0.0000 0.0000 Nb
```

Output
Fermi-level density of states (states/eV per cell): 14.41
Calculated formation energy (meV per atom): -43.6
Uncorrected energy (Ry per atom): -0.698

Record 2
K3AlSn after structural relaxation, computed with PBE.

Cell and atoms, written as POSCAR:
```
K3AlSn
1.0
6.7062 0.0000 0.0000
0.0000 6.7062 0.0000
0.0000 0.0000 6.7062
Sn K Al
1 3 1
Direct
0.0000 0.0000 0.0000 Sn
0.0000 0.0000 0.5000 K
0.0000 0.5000 0.0000 K
0.5000 0.0000 0.0000 K
0.5000 0.5000 0.5000 Al
```

Output
Fermi-level density of states (states/eV per cell): 6.57
Calculated formation energy (meV per atom): 521.8
Uncorrected energy (Ry per atom): -0.124
ΔE to the lowest computed polymorph (kJ per mole of atoms): 0.0

Record 3
Mg2CoHPt after structural relaxation, computed with PBE.

Cell and atoms, written as POSCAR:
```
Mg2CoHPt
1.0
4.3394 0.0000 0.0000
0.0000 4.3394 0.0000
0.0000 0.0000 3.2632
Pt Mg Co H
1 2 1 1
Direct
0.5000 0.5000 0.5000 Pt
0.0000 0.5000 0.0000 Mg
0.5000 0.0000 0.0000 Mg
0.0000 0.0000 0.5000 Co
0.0000 0.0000 0.0000 H
```

Output
Fermi-level density of states (states/eV per cell): 1.74
Uncorrected energy (Ry per atom): -0.318

| no. | total moment (μB per cell) |
| --- | --- |
| 1 | 0.000 |
| 2 | 0.000 |
| 3 | 0.000 |

### Assignment
Search the rows earlier on for the word "atoms" and type out each line that has it, please.

### Response
Cell and atoms, written as POSCAR:
Cell and atoms, written as POSCAR:
ΔE to the lowest computed polymorph (kJ per mole of atoms): 0.0
Cell and atoms, written as POSCAR: